(Material)
- - -
Record 1
The following is a simulated powder XRD pattern of Cu2Ag3. It was derived from a cell relaxed with GGA-PBE, using Cu Kα X-rays.
Neutral-atom scattering factors, no anomalous dispersion.

Principal peaks in the range 2θ = 10–90°, in order of rising 2θ:
2θ/deg	I (rel.)
39.1	326
39.4	1000
44.9	457
47.5	171
65.6	80
67.2	105
67.6	114
78.5	72
79.0	71
79.1	75
79.3	77
85.0	63

Structure:
```
10
Lattice="6.8722 0.0000 0.0000 0.0000 2.8448 0.0000 -1.8217 0.0000 7.9939" Properties=species:S:1:pos:R:3 pbc="T T T"
Cu 0.0217 0.0000 2.5392
Cu 0.1923 1.4224 4.6594
Cu 4.8582 1.4224 3.3345
Cu 5.0288 0.0000 5.4547
Ag 0.0000 1.4224 0.0000
Ag 0.4360 0.0000 6.9967
Ag 2.2383 1.4224 1.6051
Ag 2.5253 0.0000 3.9970
Ag 2.8122 1.4224 6.3888
Ag 4.6145 0.0000 0.9972
```

Record 2
The following is a simulated powder XRD pattern of RbPaO3. It was derived from a cell relaxed with GGA-PBE, using Cu Kα X-rays.
Neutral-atom scattering factors, no anomalous dispersion.

Principal peaks in the range 2θ = 10–90°, in order of rising 2θ:
2θ/deg	I (rel.)
20.1	322
28.6	1000
35.2	36
40.9	287
46.0	157
50.6	429
59.2	187
63.2	77
67.0	190
74.4	63
78.0	33
81.6	226

Structure:
```
10
Lattice="3.1213 1.8021 5.1001 -3.1213 1.8021 5.1001 0.0000 -3.6041 5.1001" Properties=species:S:1:pos:R:3 pbc="T T T"
Rb 0.0000 0.0000 3.8250
Rb 0.0000 0.0000 11.4751
Pa 0.0000 0.0000 0.0000
Pa 0.0000 0.0000 7.6501
O -1.6030 0.8277 6.3751
O -1.5183 -0.9744 8.9251
O 0.0847 -1.8021 6.3751
O -0.0847 1.8021 8.9251
O 1.5183 0.9744 6.3751
O 1.6030 -0.8277 8.9251
```

----------

Dy7Ho3Tl: calculated XRD peak list (Cu Ka), based on the PBE geometry in Alexandria.
Lines closer than 0.1° are merged.

Structural model:
a b c (Å): 6.9449 6.9449 8.4836
angles (deg): 90.00 90.00 120.00
Space group P3m1 (No. 156)
Unique sites:
Dy 0.0000 0.0000 0.0000 (multiplicity 1)
Dy 0.1635 0.3270 0.3357 (multiplicity 3)
Dy 0.5013 0.0025 0.0103 (multiplicity 3)
Ho 0.3308 0.1654 0.6726 (multiplicity 3)
Tl 0.6667 0.3333 0.3401 (multiplicity 1)

Largest 8 diffraction maxima, in order of rising 2θ, 15 to 90 degrees two-theta:
- d 2.833, I = 100.0, (0 2 1)
- d 2.453, I = 50.8, (2 0 2)
- d 1.735, I = 35.5, (2 2 0)
- d 1.480, I = 31.6, (4 0 1)
- d 1.478, I = 10.6, (2 0 5)
- d 1.417, I = 9.2, (0 4 2)
- d 1.127, I = 9.0, (2 4 1)
- d 1.098, I = 8.5, (4 2 2)

----------

The following is a theoretical XRD peak list of RePt2C. It was derived from a crystal structure in Alexandria, relaxed with GGA-PBE, using Cu Ka.
Kinematic intensities with the Lorentz-polarization factor, no thermal factor.

Most intense lines, 10° ≤ 2θ ≤ 90°, sorted by position:
2theta	I_rel	hkl
35.2	100	2 1 1
38.2	36	2 2 0
41.4	61	1 1 2
42.9	11	3 1 0
44.8	33	3 0 1
52.9	14	3 2 1
57.6	19	3 1 2
73.7	20	4 3 1
77.9	17	3 2 3
83.9	17	2 0 4

Structure:
```
data_RePt2C
_symmetry_space_group_name_H-M 'I -4 2 d'
_symmetry_Int_Tables_number 122
_symmetry_space_group_name_Hall 'I -4 2bw'
_cell_length_a 6.663
_cell_length_b 6.663
_cell_length_c 4.919
_cell_angle_alpha 90.00
_cell_angle_beta 90.00
_cell_angle_gamma 90.00
loop_
_atom_site_label
_atom_site_fract_x
_atom_site_fract_y
_atom_site_fract_z
_atom_site_occupancy
Re1 0.000 0.000 0.000 1
Pt1 0.164 0.250 0.625 1
C1 0.000 0.000 0.500 1
```

----------

For IO3, a cell relaxed with PBE gives the computed PXRD pattern in this record (λ = 1.5418 Å (Cu Kα)).

The 10 most intense peaks (10 to 80 degrees two-theta), most intense first:
h k l, d/Å, I (rel.)
1 0 0, 5.107, 100
1 -2 0, 3.165, 52
1 -1 0, 4.687, 39
-1 1 2, 2.757, 34
0 0 2, 3.384, 33
1 0 1, 3.822, 32
1 1 -1, 3.453, 21
0 1 -2, 3.241, 20
1 1 -2, 2.739, 17
0 2 0, 3.265, 16

```
data_IO3
_space_group_name_H-M_alt 'P -1'
_space_group_IT_number 2
_cell_length_a 5.333
_cell_length_b 6.851
_cell_length_c 6.905
_cell_angle_alpha 98.05
_cell_angle_beta 95.82
_cell_angle_gamma 104.66
loop_
_space_group_symop_operation_xyz
'x,y,z'
'-x,-y,-z'
loop_
_atom_site_label
_atom_site_type_symbol
_atom_site_fract_x
_atom_site_fract_y
_atom_site_fract_z
I1 I 0.003 0.171 0.171
- - -
(Assignment)
What is needed: work out how many lines above have the word "IO3" in them; a number is enough.
(Done)
1